- - -
# 1
Below is Na2La2Ta6Si7S5O48 after structural relaxation, with properties calculated at the GGA-PBE level.

E_tot: -7.8296 eV/atom
SG: No. 1
calculated volume: 3285.3 Å³/cell

```
210
Lattice="9.0292 0.0000 0.0000 -0.0052 15.5055 0.0000 -0.0085 -0.0046 23.4660" Properties=species:S:1:pos:R:3 pbc="T T T"
Na 0.0000 0.0000 0.0000
Na -0.0017 15.3114 11.8011
Na 4.2226 7.5818 23.3529
Na 4.2439 7.7608 11.8573
Na 4.3134 12.8541 8.0306
Na 8.8336 5.1167 19.6726
La 0.0618 5.0459 23.0200
La 4.1766 12.7867 11.3371
La 4.4128 7.5174 8.3845
La 4.5031 12.8863 4.2399
La 8.6616 5.1632 16.0892
La 8.8580 15.2911 20.1149
Ta 0.0210 10.2758 12.3158
Ta 4.2262 2.5048 0.5407
Ta 4.3477 2.2009 12.3164
Ta 4.3417 12.7370 16.1596
Ta 4.3672 2.3564 19.0381
Ta 4.3783 2.4395 7.3599
Ta 4.4181 12.7571 22.9466
Ta 4.4554 7.7083 20.1939
Ta 4.4958 7.7785 3.4416
Ta 4.6102 7.6204 15.2511
Ta 8.7327 15.4000 3.4566
Ta 8.7938 0.0332 15.2103
Ta 8.8680 0.0218 8.5064
Ta 8.8764 4.9998 11.2797
Ta 8.9207 5.0025 4.4128
Ta 8.9277 9.9463 0.5563
Ta 8.9183 10.1592 19.0722
Ta 8.9376 9.9929 7.4118
Si 1.0559 12.4168 9.6988
Si 1.1427 7.9378 9.9511
Si 1.1758 2.7165 2.0360
Si 1.2722 7.2871 2.1030
Si 1.8643 2.5269 9.8182
Si 2.3944 10.2392 21.5416
Si 2.9664 15.0280 13.8355
Si 3.0981 10.4098 13.7903
Si 3.1140 0.2150 21.6027
Si 3.1772 4.6703 21.4475
Si 5.5682 5.3775 17.7777
Si 5.6572 0.2230 9.7479
Si 5.7035 15.1438 1.8552
Si 5.7088 9.8683 17.6830
Si 5.7607 10.5305 1.9043
Si 6.2070 15.3249 17.6275
Si 7.0624 7.6037 5.8832
Si 7.5254 2.7543 13.6484
Si 7.5698 2.1012 5.9204
Si 7.5648 7.3925 13.5893
Si 7.5966 7.9728 21.4706
S 1.2034 13.0391 17.5572
S 1.2768 2.1178 17.6223
S 1.6495 12.7809 1.8861
S 1.8634 7.6958 17.7691
S 2.3984 15.4402 6.0380
S 2.5698 5.0171 13.5981
S 2.9666 9.8855 5.9057
S 3.0313 5.2850 5.8233
S 5.7245 4.5179 9.9201
S 6.1899 5.0496 2.1037
S 6.4401 10.2255 9.8170
S 6.8189 2.4659 21.5509
S 7.0968 12.8087 13.8320
S 7.5556 12.2775 21.6517
S 7.7397 13.1539 6.0328
O 0.3675 6.5152 10.1667
O 0.3656 13.9292 9.5047
O 0.3879 3.0440 0.7002
O 0.4910 11.7862 11.1189
O 0.5245 6.4554 3.2951
O 0.5459 11.7124 17.7400
O 0.5635 8.6246 8.5129
O 0.5610 13.7486 16.4376
O 0.5733 8.7729 1.8783
O 0.6028 11.4407 8.4395
O 0.6795 1.1894 2.5441
O 0.7045 1.5389 18.8324
O 0.7331 11.6704 1.5410
O 0.7481 8.9987 11.1389
O 0.7890 3.7230 3.2634
O 0.7989 14.0100 2.1078
O 0.8161 3.4818 17.4553
O 0.8741 1.2773 16.4242
O 0.8928 3.7906 10.1387
O 0.9117 1.1817 9.5739
O 0.9727 8.9469 17.8979
O 0.9856 6.5295 17.7387
O 1.1551 13.7927 18.8028
O 1.3382 6.5276 0.7121
O 1.4154 15.2880 14.2968
O 1.4330 10.0048 22.8504
O 1.4347 10.4960 20.2177
O 1.4458 10.3761 13.5468
O 1.4654 9.8835 6.0164
O 1.5229 0.0021 21.6847
O 1.5314 15.3392 7.2354
O 1.5789 5.0368 5.5466
O 1.5773 4.7549 21.3678
O 1.6009 0.0530 4.7995
O 1.5896 5.2446 12.4635
O 1.8660 4.7050 14.8382
O 2.3521 12.4636 3.1328
O 2.5940 13.0687 0.7699
O 2.6494 7.8582 16.5355
O 2.6505 12.5146 9.6246
O 2.6593 12.7950 17.2796
O 2.6861 7.6323 18.9845
O 2.7332 7.7798 9.9510
O 2.7648 2.0695 17.6956
O 2.8028 2.2237 11.1060
O 2.8076 2.6250 1.8192
O 2.8068 2.7374 8.4779
O 2.8180 7.5544 2.5977
O 2.9152 14.2979 12.4168
O 3.0763 6.0409 7.0689
O 3.2450 1.1953 6.1740
O 3.2849 14.2825 6.0166
O 3.3226 8.9158 21.3280
O 3.3335 9.0576 4.7073
O 3.3384 11.5428 21.8966
O 3.3999 6.2447 13.7214
O 3.4381 11.2578 5.7601
O 3.4713 3.8870 13.2309
O 3.4670 11.4575 14.9888
O 3.4846 1.2143 22.8828
O 3.5252 9.3023 7.1227
O 3.5520 8.8959 14.2589
O 3.6175 3.6585 20.2365
O 3.6758 1.0118 13.6102
O 3.6831 0.9006 20.2234
O 3.6928 3.9560 6.0209
O 3.6847 5.9865 4.7095
O 3.7198 14.1947 15.0099
O 3.7319 4.0148 22.8855
O 3.8433 10.7923 12.4276
O 3.8569 6.1840 21.3378
O 3.8706 14.2735 21.9049
O 4.8930 3.8961 17.9680
O 4.9624 11.2842 0.6867
O 4.9838 6.0932 16.3664
O 5.0103 9.1693 18.9726
O 5.0438 14.7485 3.2560
O 5.0561 1.1192 8.4775
O 5.0526 11.3035 17.2782
O 5.0726 8.9811 2.1012
O 5.0686 14.2643 9.6612
O 5.1265 6.4109 18.9792
O 5.1489 3.7902 11.0412
O 5.1654 5.8738 9.9480
O 5.2413 6.2089 2.4433
O 5.2640 14.0754 17.1610
- - -

Next, filter the entries further above: keep the lines with the word "pos".

Lattice="9.0292 0.0000 0.0000 -0.0052 15.5055 0.0000 -0.0085 -0.0046 23.4660" Properties=species:S:1:pos:R:3 pbc="T T T"